Even though this website has an “About me” page, I thought it would be nice to share a little something about me. If you prefer to watch a video, sorry-I am not doing one today. I was raised in a reform Jewish house, where I was pretty much the only
# 1
Calculated powder diffraction line list of Li4MnV2WO12 for CuKα, from a crystal structure in the Materials Project, relaxed with GGA+U.

Structure:
```
data_Li4MnV2WO12
_symmetry_space_group_name_H-M 'P 1'
_symmetry_Int_Tables_number 1
_cell_length_a 5.0628
_cell_length_b 5.3449
_cell_length_c 7.3681
_cell_angle_alpha 85.63
_cell_angle_beta 89.99
_cell_angle_gamma 89.88
loop_
_symmetry_equiv_pos_as_xyz
'x,y,z'
loop_
_atom_site_label
_atom_site_fract_x
_atom_site_fract_y
_atom_site_fract_z
_atom_site_occupancy
Li1 0.0000 0.0000 0.0000 1
Li2 0.0009 0.0227 0.4654 1
Li3 0.4869 0.5368 0.0152 1
Li4 0.4943 0.5180 0.4620 1
Mn1 0.9965 0.5821 0.2664 1
V1 0.4956 0.0825 0.2617 1
V2 0.9957 0.5657 0.7688 1
W1 0.4923 0.0792 0.7670 1
O1 0.1064 0.6229 0.0244 1
O2 0.1753 0.9227 0.7223 1
O3 0.2038 0.3081 0.3403 1
O4 0.3006 0.8171 0.3353 1
O5 0.3096 0.4230 0.7236 1
O6 0.3797 0.1204 0.0270 1
O7 0.6197 0.1098 0.5312 1
O8 0.6824 0.7935 0.8448 1
O9 0.6843 0.4152 0.2323 1
O10 0.7952 0.9179 0.2269 1
O11 0.8092 0.2947 0.8435 1
O12 0.8846 0.6081 0.5426 1
```

Most intense lines, 5 to 70 degrees two-theta, low angle first:
- 12.0 deg, rel. 18, (0 0 1)
- 21.3 deg, rel. 18, (1 0 1)
- 24.2 deg, rel. 100, (0 0 2)
- 33.6 deg, rel. 35, (1 1 2)
- 35.5 deg, rel. 21, (2 0 0)
- 41.0 deg, rel. 16, (1 -2 1)
- 49.6 deg, rel. 13, (2 2 0)
- 54.7 deg, rel. 17, (1 1 4)
- 57.3 deg, rel. 13, (1 -1 4)
- 63.7 deg, rel. 11, (3 1 -2)



# 2
Calculated powder diffraction line list of MgFe2Ag2O4 for CuKα, from a crystal structure in the Materials Project, relaxed with GGA+U.

Structure:
```
data_MgFe2Ag2O4
_symmetry_space_group_name_H-M 'P 3 m 1'
_symmetry_Int_Tables_number 156
_cell_length_a 3.1179
_cell_length_b 3.1179
_cell_length_c 14.4310
_cell_angle_alpha 90.00
_cell_angle_beta 90.00
_cell_angle_gamma 120.00
loop_
_symmetry_equiv_pos_as_xyz
'x,y,z'
'-y,x-y,z'
'-x+y,-x,z'
'-y,-x,z'
'-x+y,y,z'
'x,x-y,z'
loop_
_atom_site_label
_atom_site_fract_x
_atom_site_fract_y
_atom_site_fract_z
_atom_site_occupancy
Mg1 0.0000 0.0000 0.0000 1
Fe1 0.0000 0.0000 0.3933 1
Fe2 0.0000 0.0000 0.8167 1
Ag1 0.3333 0.6667 0.1696 1
Ag2 0.6667 0.3333 0.6110 1
O1 0.3333 0.6667 0.3232 1
O2 0.3333 0.6667 0.9393 1
O3 0.6667 0.3333 0.4645 1
O4 0.6667 0.3333 0.7591 1
```

Most intense lines, 5 to 70 degrees two-theta, low angle first:
- 24.7 deg, rel. 22, (0 0 4)
- 31.0 deg, rel. 36, (0 0 5)
- 33.8 deg, rel. 100, (0 1 1)
- 35.5 deg, rel. 72, (1 0 2)
- 38.2 deg, rel. 41, (0 1 3)
- 41.8 deg, rel. 21, (1 0 4)
- 46.0 deg, rel. 22, (1 0 5)
- 50.8 deg, rel. 24, (1 0 6)
- 56.1 deg, rel. 27, (0 1 7)
- 59.3 deg, rel. 33, (1 1 0)



# 3
Calculated powder diffraction line list of Li2FeF4 for CuKα, from a crystal structure in the Materials Project, relaxed with GGA+U.

Structure:
```
data_Li2FeF4
_symmetry_space_group_name_H-M 'C m m m'
_symmetry_Int_Tables_number 65
_symmetry_space_group_name_Hall '-C 2 2'
_cell_length_a 5.9756
_cell_length_b 8.7076
_cell_length_c 2.9834
_cell_angle_alpha 90.00
_cell_angle_beta 90.00
Have you ever asked yourself how Adonai could regret something he did? I mean, if he knows everything, including the future, then shouldn’t he have known what would happen, to begin with? If you prefer to watch a video, click on this link: Watch the video. One example of Adonai
I recently saw a video of someone complaining that as they were preaching the word in a crowded subway car, no one was paying any attention. That made me think how Ecclesiastes has a lesson for us regarding street preaching. If you prefer to watch a video, click on this
The Christians have Original Sin, and we Jews have the Yetzer Hara (Evil Inclination), both pretty much saying that we are all born as sinners. But could what we consider to be a sinful nature simply be a survival instinct? If you prefer to watch a video, click on this
I do not want to make this ministry a hub for political arguments or agendas, but when it comes to Israel, how can any Jewish person, such as I, not say something? There won’t be any video today, and please excuse me for not doing my usual type of message.
Many of us have memories of places we have been, physically, emotionally, and spiritually, but I believe that as bad as some of these places were, pretty much everyone has one place that they feel is the worst place they have ever been. But I’m telling you that no matter
• Misplaced records of crystals:
-- begin --
This entry pairs a crystal structure of Li4Fe5CoO12 with its calculated X-ray powder pattern. Radiation: Cu Kα X-rays. Structure: a PBE+U-relaxed structure.
Kinematic intensities with the Lorentz-polarization factor, no thermal factor.

Most intense lines, 2θ = 15–90°, low angle first:
d [Å]	2θ/deg	intensity
5.009	17.71	100
2.501	35.91	12
2.466	36.43	14
2.343	38.41	8
2.299	39.18	11
2.177	41.48	11
2.105	42.97	9
2.069	43.75	9
1.938	46.88	9
1.433	65.07	11

```
Li4Fe5CoO12
1.0
2.492 -4.344 0.000
2.492 4.344 0.000
-1.362 0.000 10.017
Li Fe Co O
4 5 1 12
Direct
0.160 0.160 0.251
0.507 0.166 0.750
0.834 0.493 0.250
0.840 0.840 0.749
0.164 0.836 0.500
0.243 0.757 0.000
0.495 0.505 0.500
0.575 0.425 0.000
0.828 0.172 0.500
0.907 0.093 0.000
0.139 0.477 0.394
0.207 0.059 0.897
0.211 0.203 0.604
0.257 0.438 0.099
0.459 0.154 0.394
0.523 0.861 0.606
0.562 0.743 0.901
0.614 0.126 0.100
0.797 0.789 0.396
0.846 0.541 0.606
0.874 0.386 0.900
0.941 0.793 0.103
```

* * * * *

Theoretical powder XRD pattern of CeSc4Sb5 for a wavelength of 1.5418 Å, from a crystal structure in Alexandria, relaxed with GGA-PBE.

Principal peaks in the range 10 to 90 degrees two-theta, by intensity:
2θ = 29.90°, I = 100.0
2θ = 42.65°, I = 93.2
2θ = 29.68°, I = 52.0
2θ = 25.76°, I = 27.2
2θ = 70.35°, I = 23.2
2θ = 52.88°, I = 19.8
2θ = 53.01°, I = 18.2
2θ = 42.87°, I = 17.3
2θ = 69.99°, I = 16.3
2θ = 78.17°, I = 11.9

Atomic structure:
abc: 11.171 11.171 11.171
angles: 158.16 148.73 38.46
Positions (direct):
Ce 0.000 0.000 0.000
Sc 0.205 0.205 0.000
Sc 0.399 0.399 0.000
Sc 0.601 0.601 0.000
Sc 0.795 0.795 0.000
Sb 0.108 0.608 0.500
Sb 0.301 0.801 0.500
Sb 0.500 0.000 0.500
Sb 0.699 0.199 0.500
Sb 0.892 0.392 0.500

Theoretical powder XRD pattern of Li2Ca6Hg for a wavelength of 1.5418 Å, from a crystal structure in Alexandria, relaxed with GGA-PBE.

Principal peaks in the range 10 to 90 degrees two-theta, by intensity:
2θ = 30.59°, I = 100.0
2θ = 18.30°, I = 65.6
2θ = 10.76°, I = 56.3
2θ = 32.66°, I = 46.6
2θ = 17.12°, I = 39.9
2θ = 57.01°, I = 31.6
2θ = 26.37°, I = 25.6
2θ = 46.84°, I = 20.8
2θ = 13.28°, I = 19.5
2θ = 25.45°, I = 17.3

Atomic structure:
abc: 10.586 8.667 7.211
angles: 83.09 54.36 42.55
Positions (direct):
Li 0.170 0.170 0.830
Li 0.830 0.830 0.170
Ca 0.139 0.861 0.139
Ca 0.193 0.483 0.517
Ca 0.483 0.193 0.807
Ca 0.517 0.807 0.193
Ca 0.807 0.517 0.483
Ca 0.861 0.139 0.861
Hg 0.500 0.500 0.500

Theoretical powder XRD pattern of Ba4PrSmCu6O14 for a wavelength of 1.5418 Å, from a crystal structure in Alexandria, relaxed with GGA-PBE.

Principal peaks in the range 10 to 90 degrees two-theta, by intensity:
2θ = 32.30°, I = 100.0
2θ = 31.98°, I = 47.2
2θ = 57.28°, I = 19.7
2θ = 57.12°, I = 18.9
2θ = 57.80°, I = 17.4
2θ = 39.70°, I = 14.6
2θ = 45.99°, I = 14.4
2θ = 46.79°, I = 13.7
2θ = 45.73°, I = 10.7
2θ = 67.70°, I = 8.4

Atomic structure:
abc: 3.883 3.947 23.808
angles: 90.00 90.00 90.00
Positions (direct):
Ba 0.000 0.000 0.160
Ba 0.000 0.000 0.339
Ba 0.000 0.000 0.661
-- stop --
Have often have your heard people say that Jesus died for our sins? And he did, but it isn’t his death that saves us. If you prefer to watch a video, click on this link: Watch the video. The sacrificial system has 5 steps: You have to sin (no sin,
There are hundreds of versions of the Bible, over 450 in English, alone, not to mention that today it has been translated into some 756 different languages! There’s gotta be a whole lotta different interpretations of the same verse(s), what with all those different interpreters, differences that happen when one
# The piece is interrupted by calculated crystals
~~~
Simulated powder X-ray diffraction pattern
Compound: ZnO2F2
Radiation: copper Kα
Structure: a structure optimized by DFT (GGA-PBE)

The 10 most intense peaks (10 to 90 degrees two-theta), sorted by position:
2θ (°)  d (Å)  I (rel.)  (hkl)
18.1  4.907  100  0 2 2
21.1  4.213  79  0 0 4
29.6  3.018  81  0 4 0
36.6  2.453  30  0 4 4
37.1  2.426  27  1 1 3
42.9  2.108  18  0 0 8
43.0  2.102  35  1 1 5
50.9  1.794  22  1 1 7
53.0  1.728  22  0 4 8
57.6  1.599  18  1 5 5

Structural model:
abc: 2.7592 12.0714 16.8510
angles: 90.00 90.00 90.00
Space group Fddd (No. 70, origin choice 2)
Inequivalent atoms, fractional coordinates:
Zn (0.1250, 0.1250, 0.1250) x8
O (0.1250, 0.3460, 0.1250) x16
F (0.1250, 0.1250, 0.5442) x16

***

Simulated powder X-ray diffraction pattern
Compound: ZnO2F2
Radiation: copper Kα
Structure: a structure optimized by DFT (GGA-PBE)

The 10 most intense peaks (10 to 90 degrees two-theta), sorted by position:
2θ (°)  d (Å)  I (rel.)  (hkl)
14.2  6.229  94  0 0 4
17.8  4.972  100  0 4 0
22.9  3.886  15  0 4 4
28.7  3.115  46  0 0 8
29.2  3.058  12  1 1 1
31.9  2.805  12  1 3 1
34.0  2.640  27  0 4 8
36.8  2.443  20  1 5 1
43.2  2.093  14  1 7 1
60.5  1.529  12  2 2 2

Structural model:
abc: 3.1195 19.8889 24.9167
angles: 90.00 90.00 90.00
Space group Fddd (No. 70, origin choice 2)
Inequivalent atoms, fractional coordinates:
Zn (0.0000, 0.0000, 0.0000) x16
O (0.0103, 0.2506, 0.1451) x32
F (0.0389, 0.3127, 0.7497) x32

***

Simulated powder X-ray diffraction pattern
Compound: ZnO2F2
Radiation: copper Kα
Structure: a structure optimized by DFT (GGA-PBE)

The 10 most intense peaks (10 to 90 degrees two-theta), sorted by position:
2θ (°)  d (Å)  I (rel.)  (hkl)
18.5  4.802  100  2 0 0
19.0  4.678  89  2 0 -2
25.2  3.532  54  0 0 2
27.9  3.195  32  4 0 -2
31.3  2.853  36  1 1 -1
37.2  2.419  37  3 1 -1
37.4  2.407  32  3 1 -2
41.2  2.190  29  2 0 -4
47.1  1.931  24  5 1 -2
47.3  1.920  24  5 1 -3

Structural model:
abc: 12.7847 2.9923 9.4037
angles: 90.00 131.31 90.00
Space group C2/c (No. 15)
Inequivalent atoms, fractional coordinates:
Zn (0.0000, 0.1305, 0.2500) x4
O (0.1393, 0.1210, 0.5330) x8
F (0.1050, 0.3702, 0.7501) x8

***

Simulated powder X-ray diffraction pattern
Compound: ZnO2F2
Radiation: copper Kα
Structure: a structure optimized by DFT (GGA-PBE)

The 10 most intense peaks (10 to 90 degrees two-theta), sorted by position:
2θ (°)  d (Å)  I (rel.)  (hkl)
15.7  5.659  100  0 1 -1
19.6  4.526  58  0 1 1
22.3  3.980  88  0 0 2
27.8  3.212  97  0 2 0
31.6  2.830  32  0 2 -2
34.2  2.623  21  1 0 -2
40.9  2.207  28  1 0 2
41.1  2.195  25  0 3 -1
45.6  1.991  37  1 -2 2
47.1  1.930  15  1 2 -3

Structural model:
abc: 3.0352 6.5960 8.2863
angles: 102.47 99.61 91.94
Space group P-1 (No. 2)
Inequivalent atoms, fractional coordinates:
Zn (0.0991, 0.2741, 0.2505) x2
O (0.0515, 0.8571, 0.2711) x2
O (0.1771, 0.6831, 0.2222) x2
F (0.3283, 0.7142, 0.5919) x2
F (0.4744, 0.7454, 0.9084) x2

***

Simulated powder X-ray diffraction pattern
~~~
We know that sin is a violation of the law, but if there is no law then there can be no sin, and if there is no sin, there is no need for forgiveness, so…we don’t need Yeshua anymore. If you prefer to watch a video, click on this link:
Just to let you know, I am not going to post anything else until next year. The Torah is more than a book of laws and regulations, it is a historical narrative of the Jewish people (not to mention how the Universe was created). Inside the Torah there is a